[1]
C40H27AsN5O5Rb as an isolated structure at a distorted geometry. Source: OMol25; level of theory: wB97M-V/def2-TZVPD.

Results
LUMO level in eV: 4.0
HOMO in eV: -2.2

Geometry as ORCA input:
```
! RIJCOSX wB97M-V def2-TZVPD def2/J DEFGRID3
* xyz -2 1
Rb 0.310 -1.642 1.237
O 2.633 -2.296 -3.414
C 1.684 -2.354 -2.599
O 0.753 -1.537 -2.456
C 1.721 -3.562 -1.642
C 2.532 -4.639 -1.983
C 2.705 -5.663 -1.070
C 2.099 -5.561 0.168
C 1.271 -4.473 0.426
N 1.064 -3.506 -0.475
C 0.639 -4.345 1.827
O 1.363 -4.746 2.763
O -0.507 -3.851 1.903
H 3.030 -4.635 -2.942
H 3.340 -6.511 -1.303
H 2.251 -6.293 0.948
O -0.074 0.771 2.016
C -0.148 1.246 3.191
C -1.157 2.188 3.571
C -1.260 2.696 4.846
C -0.374 2.306 5.854
C 0.612 1.384 5.533
C 0.747 0.861 4.252
C 1.784 -0.152 3.998
N 2.810 -0.076 3.177
C 3.466 -1.281 3.264
C 2.834 -2.105 4.147
N 1.777 -1.368 4.623
H -1.863 2.484 2.802
H -2.047 3.409 5.073
H -0.459 2.712 6.855
H 1.318 1.066 6.296
H 4.345 -1.482 2.672
H 2.989 -3.134 4.415
H 1.055 -1.708 5.232
C -4.247 -2.215 -3.407
C -3.835 -2.635 -2.150
C -2.849 -1.936 -1.472
C -2.265 -0.800 -2.027
C -2.666 -0.402 -3.297
C -3.650 -1.103 -3.982
As -0.932 0.154 -0.934
C -2.392 1.114 -0.022
C -3.154 0.646 1.037
C -4.167 1.430 1.571
C -4.414 2.696 1.051
C -3.649 3.181 0.001
C -2.634 2.393 -0.536
C -1.758 2.761 -1.659
C -1.775 3.967 -2.352
C -0.920 4.164 -3.427
C -0.055 3.155 -3.831
C -0.031 1.951 -3.140
C -0.860 1.755 -2.047
H -5.020 -2.757 -3.939
H -4.279 -3.516 -1.701
H -2.502 -2.295 -0.508
H -2.199 0.452 -3.770
H -3.946 -0.779 -4.974
H -2.946 -0.329 1.463
H -4.759 1.065 2.402
H -5.203 3.309 1.471
H -3.851 4.168 -0.398
H -2.459 4.756 -2.061
H -0.938 5.107 -3.962
H 0.600 3.306 -4.682
H 0.606 1.137 -3.465
N 4.104 2.373 -4.907
C 3.846 2.089 -3.821
C 3.527 1.819 -2.457
C 3.679 2.832 -1.508
C 3.321 2.575 -0.202
C 2.816 1.318 0.119
N 2.681 0.347 -0.782
C 3.026 0.579 -2.041
H 4.066 3.797 -1.812
H 3.423 3.330 0.566
H 2.507 1.083 1.133
H 2.906 -0.246 -2.744
*
```

Atom charges from the Löwdin analysis, given in e for atoms 1 to 6: atom 1 (Rb): 0.992, atom 2 (O): -0.059, atom 3 (C): -0.662, atom 4 (O): -0.102, atom 5 (C): -0.168, atom 6 (C): -0.026

---

[2]
An isolated molecule of C26H30N4O2. Source: OMol25; level of theory: wB97M-V/def2-TZVPD.

Results
LUMO level in eV: 0.7
HOMO in eV: -8.4

Geometry as ORCA input:
```
! RIJCOSX wB97M-V def2-TZVPD def2/J DEFGRID3
* xyz 0 1
C -6.450 -1.900 0.501
C -5.376 -0.824 0.410
C -5.548 0.036 -0.863
C -4.470 1.077 -0.905
C -3.226 0.812 -1.473
C -2.231 1.769 -1.380
C -2.514 2.962 -0.736
C -3.791 3.141 -0.228
N -4.741 2.229 -0.308
N -4.063 -1.430 0.424
C -3.008 -0.827 1.036
O -3.142 0.094 1.820
C -1.672 -1.364 0.664
C -0.604 -0.476 0.696
C 0.667 -0.858 0.318
C 0.912 -2.167 -0.085
O 2.092 -2.700 -0.481
C 3.322 -1.986 -0.539
C 3.835 -1.495 0.817
C 5.245 -0.913 0.624
N 5.336 0.117 -0.384
C 5.081 1.482 0.030
C 3.671 1.856 0.437
C 3.261 1.825 1.769
C 1.968 2.211 2.083
C 1.125 2.622 1.062
C 1.622 2.609 -0.232
N 2.854 2.240 -0.537
C 4.787 -0.304 -1.652
C 3.356 -0.858 -1.572
C -0.158 -3.071 -0.091
C -1.428 -2.678 0.268
H -7.435 -1.444 0.546
H -6.410 -2.555 -0.368
H -6.303 -2.500 1.396
H -5.415 -0.166 1.283
H -5.497 -0.607 -1.745
H -6.520 0.525 -0.825
H -3.037 -0.126 -1.975
H -1.252 1.579 -1.797
H -1.767 3.735 -0.635
H -4.071 4.059 0.273
H -3.873 -2.100 -0.305
H -0.791 0.537 1.018
H 1.448 -0.119 0.344
H 4.012 -2.771 -0.886
H 3.177 -0.735 1.234
H 3.872 -2.331 1.518
H 5.616 -0.514 1.570
H 5.915 -1.725 0.314
H 5.754 1.692 0.868
H 5.361 2.123 -0.810
H 3.947 1.511 2.542
H 1.624 2.196 3.107
H 0.115 2.940 1.266
H 1.010 2.912 -1.072
H 4.813 0.541 -2.340
H 5.446 -1.090 -2.042
H 3.057 -1.248 -2.546
H 2.675 -0.051 -1.309
H 0.043 -4.089 -0.387
H -2.223 -3.410 0.271
*
```

Atom charges from the Löwdin analysis, given in e for atoms 1 to 6: atom 1 (C): -0.049, atom 2 (C): -0.359, atom 3 (C): -0.091, atom 4 (C): -0.299, atom 5 (C): -0.035, atom 6 (C): -0.071

---

[3]

Could you repeat all of the entries above verbatim?

[1]
C40H27AsN5O5Rb as an isolated structure at a distorted geometry. Source: OMol25; level of theory: wB97M-V/def2-TZVPD.

Results
LUMO level in eV: 4.0
HOMO in eV: -2.2

Geometry as ORCA input:
```
! RIJCOSX wB97M-V def2-TZVPD def2/J DEFGRID3
* xyz -2 1
Rb 0.310 -1.642 1.237
O 2.633 -2.296 -3.414
C 1.684 -2.354 -2.599
O 0.753 -1.537 -2.456
C 1.721 -3.562 -1.642
C 2.532 -4.639 -1.983
C 2.705 -5.663 -1.070
C 2.099 -5.561 0.168
C 1.271 -4.473 0.426
N 1.064 -3.506 -0.475
C 0.639 -4.345 1.827
O 1.363 -4.746 2.763
O -0.507 -3.851 1.903
H 3.030 -4.635 -2.942
H 3.340 -6.511 -1.303
H 2.251 -6.293 0.948
O -0.074 0.771 2.016
C -0.148 1.246 3.191
C -1.157 2.188 3.571
C -1.260 2.696 4.846
C -0.374 2.306 5.854
C 0.612 1.384 5.533
C 0.747 0.861 4.252
C 1.784 -0.152 3.998
N 2.810 -0.076 3.177
C 3.466 -1.281 3.264
C 2.834 -2.105 4.147
N 1.777 -1.368 4.623
H -1.863 2.484 2.802
H -2.047 3.409 5.073
H -0.459 2.712 6.855
H 1.318 1.066 6.296
H 4.345 -1.482 2.672
H 2.989 -3.134 4.415
H 1.055 -1.708 5.232
C -4.247 -2.215 -3.407
C -3.835 -2.635 -2.150
C -2.849 -1.936 -1.472
C -2.265 -0.800 -2.027
C -2.666 -0.402 -3.297
C -3.650 -1.103 -3.982
As -0.932 0.154 -0.934
C -2.392 1.114 -0.022
C -3.154 0.646 1.037
C -4.167 1.430 1.571
C -4.414 2.696 1.051
C -3.649 3.181 0.001
C -2.634 2.393 -0.536
C -1.758 2.761 -1.659
C -1.775 3.967 -2.352
C -0.920 4.164 -3.427
C -0.055 3.155 -3.831
C -0.031 1.951 -3.140
C -0.860 1.755 -2.047
H -5.020 -2.757 -3.939
H -4.279 -3.516 -1.701
H -2.502 -2.295 -0.508
H -2.199 0.452 -3.770
H -3.946 -0.779 -4.974
H -2.946 -0.329 1.463
H -4.759 1.065 2.402
H -5.203 3.309 1.471
H -3.851 4.168 -0.398
H -2.459 4.756 -2.061
H -0.938 5.107 -3.962
H 0.600 3.306 -4.682
H 0.606 1.137 -3.465
N 4.104 2.373 -4.907
C 3.846 2.089 -3.821
C 3.527 1.819 -2.457
C 3.679 2.832 -1.508
C 3.321 2.575 -0.202
C 2.816 1.318 0.119
N 2.681 0.347 -0.782
C 3.026 0.579 -2.041
H 4.066 3.797 -1.812
H 3.423 3.330 0.566
H 2.507 1.083 1.133
H 2.906 -0.246 -2.744
*
```

Atom charges from the Löwdin analysis, given in e for atoms 1 to 6: atom 1 (Rb): 0.992, atom 2 (O): -0.059, atom 3 (C): -0.662, atom 4 (O): -0.102, atom 5 (C): -0.168, atom 6 (C): -0.026

---

[2]
An isolated molecule of C26H30N4O2. Source: OMol25; level of theory: wB97M-V/def2-TZVPD.

Results
LUMO level in eV: 0.7
HOMO in eV: -8.4

Geometry as ORCA input:
```
! RIJCOSX wB97M-V def2-TZVPD def2/J DEFGRID3
* xyz 0 1
C -6.450 -1.900 0.501
C -5.376 -0.824 0.410
C -5.548 0.036 -0.863
C -4.470 1.077 -0.905
C -3.226 0.812 -1.473
C -2.231 1.769 -1.380
C -2.514 2.962 -0.736
C -3.791 3.141 -0.228
N -4.741 2.229 -0.308
N -4.063 -1.430 0.424
C -3.008 -0.827 1.036
O -3.142 0.094 1.820
C -1.672 -1.364 0.664
C -0.604 -0.476 0.696
C 0.667 -0.858 0.318
C 0.912 -2.167 -0.085
O 2.092 -2.700 -0.481
C 3.322 -1.986 -0.539
C 3.835 -1.495 0.817
C 5.245 -0.913 0.624
N 5.336 0.117 -0.384
C 5.081 1.482 0.030
C 3.671 1.856 0.437
C 3.261 1.825 1.769
C 1.968 2.211 2.083
C 1.125 2.622 1.062
C 1.622 2.609 -0.232
N 2.854 2.240 -0.537
C 4.787 -0.304 -1.652
C 3.356 -0.858 -1.572
C -0.158 -3.071 -0.091
C -1.428 -2.678 0.268
H -7.435 -1.444 0.546
H -6.410 -2.555 -0.368
H -6.303 -2.500 1.396
H -5.415 -0.166 1.283
H -5.497 -0.607 -1.745
H -6.520 0.525 -0.825
H -3.037 -0.126 -1.975
H -1.252 1.579 -1.797
H -1.767 3.735 -0.635
H -4.071 4.059 0.273
H -3.873 -2.100 -0.305
H -0.791 0.537 1.018
H 1.448 -0.119 0.344
H 4.012 -2.771 -0.886
H 3.177 -0.735 1.234
H 3.872 -2.331 1.518
H 5.616 -0.514 1.570
H 5.915 -1.725 0.314
H 5.754 1.692 0.868
H 5.361 2.123 -0.810
H 3.947 1.511 2.542
H 1.624 2.196 3.107
H 0.115 2.940 1.266
H 1.010 2.912 -1.072
H 4.813 0.541 -2.340
H 5.446 -1.090 -2.042
H 3.057 -1.248 -2.546
H 2.675 -0.051 -1.309
H 0.043 -4.089 -0.387
H -2.223 -3.410 0.271
*
```

Atom charges from the Löwdin analysis, given in e for atoms 1 to 6: atom 1 (C): -0.049, atom 2 (C): -0.359, atom 3 (C): -0.091, atom 4 (C): -0.299, atom 5 (C): -0.035, atom 6 (C): -0.071

---

[3]